+++
Structure and theoretical X-ray diffraction stick pattern of Dy3Ho4In (a DFT-relaxed cell (PBE, Alexandria); a wavelength of 1.5418 Å).

Crystal structure
```
Dy3Ho4In
1.0
8.2824 0.0000 0.0000
0.0000 7.0028 0.0000
-0.7591 0.0000 8.2499
Dy Ho In
6 8 2
Direct
0.0000 0.0000 0.0000
0.2454 0.2415 0.7314
0.2454 0.7585 0.7314
0.5796 0.5000 0.8895
0.8284 0.2484 0.6454
0.8284 0.7516 0.6454
0.0954 0.5000 0.3950
0.3345 0.2581 0.1575
0.3345 0.7419 0.1575
0.4842 0.0000 0.4930
0.5846 0.0000 0.9142
0.7509 0.2516 0.2431
0.7509 0.7484 0.2431
0.9946 0.5000 0.9755
0.0856 0.0000 0.4032
0.4945 0.5000 0.4840
```

Most intense lines, 2θ = 10–90°, low angle first:
| 2θ (°) | d (Å) | I/Imax |
| --- | --- | --- |
| 29.39 | 3.039 | 26.7 |
| 32.07 | 2.791 | 38.6 |
| 33.39 | 2.683 | 55.1 |
| 33.57 | 2.669 | 100.0 |
| 58.13 | 1.587 | 20.1 |
| 62.30 | 1.490 | 22.2 |


Structure and theoretical X-ray diffraction stick pattern of Dy8Ho3In (a DFT-relaxed cell (PBE, Alexandria); a wavelength of 1.5418 Å).

Crystal structure
```
Dy8Ho3In
1.0
3.5232 0.0000 0.0000
-0.0018 8.5410 0.0000
-1.7609 -2.9805 12.2364
Dy Ho In
8 3 1
Direct
0.0000 0.0000 0.0000
0.0358 0.6121 0.0717
0.1940 0.3058 0.3890
0.5744 0.3130 0.1498
0.6169 0.9640 0.2340
0.6735 0.6431 0.3447
0.8310 0.3302 0.6585
0.8674 0.9628 0.7319
0.2469 0.9800 0.4911
0.2918 0.6396 0.5797
0.4208 0.6637 0.8397
0.4471 0.2961 0.8909
```

Most intense lines, 2θ = 10–90°, low angle first:
| 2θ (°) | d (Å) | I/Imax |
| --- | --- | --- |
| 30.59 | 2.922 | 45.9 |
| 31.28 | 2.859 | 44.1 |
| 31.98 | 2.799 | 61.3 |
| 32.37 | 2.766 | 58.0 |
| 33.51 | 2.674 | 100.0 |
| 62.27 | 1.491 | 18.4 |


Structure and theoretical X-ray diffraction stick pattern of DyHo3In4 (a DFT-relaxed cell (PBE, Alexandria); a wavelength of 1.5418 Å).

Crystal structure
```
DyHo3In4
1.0
10.7335 0.0000 0.0000
0.0000 7.1919 0.0000
0.0000 0.0000 5.4547
Dy Ho In
2 6 8
Direct
0.0000 0.0000 0.0000
0.5000 0.0000 0.0000
0.0000 0.5000 0.0000
0.2500 0.0000 0.4306
0.2500 0.5000 0.4292
0.5000 0.5000 0.0000
0.7500 0.0000 0.5694
0.7500 0.5000 0.5708
0.0000 0.2509 0.5000
0.0000 0.7491 0.5000
0.2500 0.2508 0.9212
0.2500 0.7492 0.9212
0.5000 0.2509 0.5000
0.5000 0.7491 0.5000
0.7500 0.2508 0.0788
0.7500 0.7492 0.0788
```

Most intense lines, 2θ = 10–90°, low angle first:
| 2θ (°) | d (Å) | I/Imax |
| --- | --- | --- |
| 32.84 | 2.727 | 19.9 |
| 33.39 | 2.683 | 29.8 |
| 34.22 | 2.620 | 100.0 |
| 47.54 | 1.913 | 14.1 |
| 60.22 | 1.537 | 19.3 |
| 62.15 | 1.494 | 9.8 |


Structure and theoretical X-ray diffraction stick pattern of Dy3HoIn3 (a DFT-relaxed cell (PBE, Alexandria); a wavelength of 1.5418 Å).

Crystal structure
```
Dy3HoIn3
1.0
9.3024 0.0000 0.0000
0.0000 9.3024 0.0000
0.0000 0.0000 9.3024
Dy Ho In
12 4 12
Direct
0.0733 0.4267 0.5733
0.1751 0.1751 0.1751
0.1749 0.8251 0.3251
0.3251 0.1749 0.8251
0.3249 0.8249 0.6751
0.4267 0.5733 0.0733
0.5733 0.0733 0.4267
0.6751 0.3249 0.8249
0.6749 0.6749 0.6749
0.8251 0.3251 0.1749
0.8249 0.6751 0.3249
0.9267 0.9267 0.9267
0.0760 0.5760 0.9240
0.4240 0.4240 0.4240
0.5760 0.9240 0.0760
0.9240 0.0760 0.5760
0.0005 0.2518 0.8743
0.1257 0.5005 0.2482
0.2482 0.1257 0.5005
0.2518 0.8743 0.0005
0.3743 0.4995 0.7482
0.4995 0.7482 0.3743
0.5005 0.2482 0.1257
0.6257 0.9995 0.7518
0.7482 0.3743 0.4995
0.7518 0.6257 0.9995
0.8743 0.0005 0.2518
0.9995 0.7518 0.6257
```

Most intense lines, 2θ = 10–90°, low angle first:
| 2θ (°) | d (Å) | I/Imax |
| --- | --- | --- |
| 30.39 | 2.942 | 100.0 |
| 36.13 | 2.486 | 73.8 |
| 47.91 | 1.899 | 20.7 |
| 49.99 | 1.824 | 22.6 |
| 61.44 | 1.509 | 25.6 |
| 64.97 | 1.435 | 15.4 |


Structure and theoretical X-ray diffraction stick pattern of Dy2Ho2In5 (a DFT-relaxed cell (PBE, Alexandria); a wavelength of 1.5418 Å).

Crystal structure
```
Dy2Ho2In5
1.0
-7.1518 3.5210 5.0053
7.1518 -3.5210 5.0053
7.1518 3.5210 -5.0053
Dy Ho In
4 4 10
Direct
0.0296 0.1275 0.1570
0.0296 0.3725 0.4021
0.9704 0.6275 0.5979
0.9704 0.8725 0.8430
0.4303 0.6892 0.2410
0.4482 0.1892 0.7590
0.5636 0.0636 0.5000
+++
It remains to give back only the lines further above with the word "stick" in them.
Structure and theoretical X-ray diffraction stick pattern of Dy3Ho4In (a DFT-relaxed cell (PBE, Alexandria); a wavelength of 1.5418 Å).
Structure and theoretical X-ray diffraction stick pattern of Dy8Ho3In (a DFT-relaxed cell (PBE, Alexandria); a wavelength of 1.5418 Å).
Structure and theoretical X-ray diffraction stick pattern of DyHo3In4 (a DFT-relaxed cell (PBE, Alexandria); a wavelength of 1.5418 Å).
Structure and theoretical X-ray diffraction stick pattern of Dy3HoIn3 (a DFT-relaxed cell (PBE, Alexandria); a wavelength of 1.5418 Å).
Structure and theoretical X-ray diffraction stick pattern of Dy2Ho2In5 (a DFT-relaxed cell (PBE, Alexandria); a wavelength of 1.5418 Å).